You're enveloped in darkness. The silhouettes of objects around you are the only thing you can make out. There is no moon, no stars, just the dank, wet darkness caressing your body. You have no idea where you are with no known or familiar objects around you. You walk around blindly hoping to bump into someone or something you know; however, instead you bump into a great mass of a black sticky substance.
"What the?" You slowly peel your body off of the mass, but it resists, the cold goop sticking to your skin. "Ugh, disgusting" you spurt out. The mass vibrates and you feel a hot, breath upon your face. It smells vile, you gag at the awful scent. This creature opens its eyes and stares right into yours. It's tinged yellow with blood shot veins. You feel your stomach drop and your heart pound on your chest. Your throat begins to close up making it difficult to breathe. You slowly back away from this giant mass. Then you's much more than just a blob of crap. It has two legs, two long arms with massive hands and claws. A ginormous mouth that could swallow you whole, but sharp yellow teeth that say no to that. This thing will grind you into meat mush.
**Inserted here: crystal structures:**
'''
w.
First-principles (PBE) data for a relaxed HgIr2N crystal, as listed in Alexandria.

```
data_HgIr2N
_chemical_formula_sum 'Hg1 Ir2 N1'
_space_group_name_H-M_alt 'P 1'
_space_group_IT_number 1
_cell_length_a 4.378
_cell_length_b 4.378
_cell_length_c 4.378
_cell_angle_alpha 60.00
_cell_angle_beta 60.00
_cell_angle_gamma 60.00
loop_
_space_group_symop_operation_xyz
'x,y,z'
loop_
_atom_site_label
_atom_site_type_symbol
_atom_site_fract_x
_atom_site_fract_y
_atom_site_fract_z
Hg1 Hg 0.000 0.000 0.000
Ir1 Ir 0.250 0.250 0.250
Ir2 Ir 0.750 0.750 0.750
N1 N 0.500 0.500 0.500
```



x.
First-principles (PBE) data for a relaxed HgIr2N crystal, as listed in Alexandria.

```
data_HgIr2N
_chemical_formula_sum 'Hg2 Ir4 N2'
_space_group_name_H-M_alt 'P 1'
_space_group_IT_number 1
_cell_length_a 5.494
_cell_length_b 5.494
_cell_length_c 5.494
_cell_angle_alpha 108.37
_cell_angle_beta 108.37
_cell_angle_gamma 111.70
loop_
_space_group_symop_operation_xyz
'x,y,z'
loop_
_atom_site_label
_atom_site_type_symbol
_atom_site_fract_x
_atom_site_fract_y
_atom_site_fract_z
Hg1 Hg 0.000 0.000 0.000
Hg2 Hg 0.750 0.250 0.500
Ir1 Ir 0.256 0.125 0.631
Ir2 Ir 0.375 0.744 0.869
Ir3 Ir 0.494 0.625 0.369
Ir4 Ir 0.875 0.506 0.131
N1 N 0.250 0.750 0.500
N2 N 0.500 0.500 0.000
```



Consider the structures shown above. The least stable of them is w.

----------

A relaxed structure of CrNi2W. Source: Alexandria, functional PBE.

Geometry as CIF:
```
data_CrNi2W
_chemical_formula_sum 'Cr1 Ni2 W1'
_space_group_name_H-M_alt 'P 1'
_space_group_IT_number 1
_cell_length_a 8.6471
_cell_length_b 8.6471
_cell_length_c 8.6471
_cell_angle_alpha 17.46
_cell_angle_beta 17.46
_cell_angle_gamma 17.46
loop_
_space_group_symop_operation_xyz
'x,y,z'
loop_
_atom_site_label
_atom_site_fract_x
_atom_site_fract_y
_atom_site_fract_z
Ni1 0.0042 0.0042 0.0042
Ni2 0.4958 0.4958 0.4958
W1 0.2500 0.2500 0.2500
Cr1 0.7500 0.7500 0.7500
```

Summary:
* magnetic moment: 0.00 μB/f.u.
* E_tot: -8.271 eV per atom
* DFT formation energy: 0.264 eV/atom
* energy above the most stable polymorph in this dataset: 235 meV per atom

----------

## i
## Sr2Tl2Os (PBE-GGA)

Data for a relaxed structure of Sr2Tl2Os.

Structure (CIF):
```
data_Sr2Tl2Os
_chemical_formula_sum 'Sr4 Tl4 Os2'
_cell_length_a 7.964
_cell_length_b 7.964
_cell_length_c 5.134
_cell_angle_alpha 90.00
_cell_angle_beta 90.00
_cell_angle_gamma 90.00
_space_group_name_H-M_alt 'P 1'
_space_group_IT_number 1
loop_
_space_group_symop_operation_xyz
'x,y,z'
loop_
_atom_site_label
_atom_site_type_symbol
_atom_site_fract_x
_atom_site_fract_y
_atom_site_fract_z
Tl1 Tl 0.848 0.348 0.500
Tl2 Tl 0.152 0.652 0.500
Tl3 Tl 0.348 0.152 0.500
Tl4 Tl 0.652 0.848 0.500
Sr1 Sr 0.837 0.663 0.000
Sr2 Sr 0.337 0.837 0.000
Sr3 Sr 0.163 0.337 0.000
Sr4 Sr 0.663 0.163 0.000
Os1 Os 0.000 0.000 0.000
Os2 Os 0.500 0.500 0.000
```

Output
- DOS at the Fermi energy: 5.47 states/eV/f.u.
- Space-group type: P4/mbm

=====

## ii
## Sr2Tl2Os (PBE-GGA)
'''
You turn around to run but this monster is much faster than you could imagine. As you run, you begin to think you're getting away, you huff and puff with shallow breaths but this thing is stalking right behind you. It grabs your legs from under you. You fall flat on your face cracking your nose and splitting open your forehead. You don't have time to feel pain, you have to get the hell away from this thing! You begin to claw at the ground violently, squirming to break free of its grips, but no use. Your nails break off and crimson blood stains the tips of your fingers. Salty tears fall down your cheeks. You have no idea what's happening, where this thing came from, why it came for you, why is this even happening to you? You did nothing wrong. You struggle to find an answer though it doesn't come easy. You get frustrated at yourself for not knowing the answer yet so disappointed in yourself because surely you did something wrong to cause this even though you know you didn't. Then it hits you. Maybe...maybe you should just die. Then you won't bother anyone, and you won't feel this way anymore. All of these thoughts are flashing through your brain in mere seconds. You're still being dragged along by this creature, yet time feels so slow. Maybe it would be good if you disappeared. What if people love you? That's crazy, why would anyone even love you. You're worthless, a waste of space. Your sink deeper and deeper into these thoughts as the monsters goo encases you more and more. No, you need to survive. Then you think, no you need to die. You scream at the confusion.
/*
# NdTcGe2Ru PBE relaxed
data_NdTcGe2Ru
_chemical_formula_sum 'Nd2 Tc2 Ge4 Ru2'
_symmetry_space_group_name_H-M 'I -4 m 2'
_symmetry_Int_Tables_number 119
_symmetry_space_group_name_Hall 'I -4 -2'
_cell_length_a 4.3010
_cell_length_b 4.3010
_cell_length_c 10.1993
_cell_angle_alpha 90.00
_cell_angle_beta 90.00
_cell_angle_gamma 90.00
loop_
_atom_site_label
_atom_site_type_symbol
_atom_site_fract_x
_atom_site_fract_y
_atom_site_fract_z
Nd1 Nd 0.0000 0.0000 0.0000
Tc1 Tc 0.0000 0.5000 0.7500
Ge1 Ge 0.0000 0.0000 0.3694
Ru1 Ru 0.0000 0.5000 0.2500
# - D(E_F): 9.88 states/eV/cell
# - ΔE_f: -0.520 eV/atom
*/
Back to the page.
"Make it stop!" You shout. "I can't handle this. I can't do this anymore." You sob. "Please...just stop..." You plead. But you have succumbed to the monster, as he swallows you whole.
This is my interpretation of what anxiety and depression is like. I've been struggling with these two diagnosis for quite some time. I have found ways to work with them and make my life more free. But it is a struggle for those who are fighting their own minds everyday. I just want to say, I believe in everyone of you who is fighting. I know you can win. I wrote this "simulation" to show people who may not understand the mind of an anxious-depressive person. I hope this helps to bring a new understanding. We are not pretending or seeking attention. We are actually hurting. While yes, there may be some people who do seek attention, there are those people everywhere you go, no matter what. Mental illness is a very real thing. Please support your loved ones who may be struggling. It will mean so much to them. In addition, if you are feeling anxious, depressed, suicidal, or feel like your mental health is not doing well, I suggest to seek help. There is no shame in it! It will only make you stronger.
Once again I believe in all of you. You are loved, you are strong, you are beautiful, and you will overcome this. Keep fighting. I love you all.